If we are going to figure out how to finish well, we have to decide what we truly believe about money and things. Thankfully, Jesus gave us a blueprint to follow, and I am here to tell you it works. Should we be surprised by that? His blueprint is also countercultural and pushes back hard against almost everything you and I see and hear every day about how much is enough.

So, let’s check in to Matthew 6:24, where Jesus begins to lay out a beautiful and air tight treatise about money and serving Him and how they relate to each other.

He begins by saying that we simply cannot serve God and money at the same time. In other words, we can’t have two masters. We have to choose. If we are mastered by money, we will always weigh all of God’s suggestions for our lives by what it is going to cost us. We’ll whip out our spreadsheets and do some cost-benefit analysis to see if following God into this or that endeavor makes sense, financially speaking. When it doesn’t make sense, we will say no, and when we say no we are confirming who and what our master is. We’ll miss out on what is best for us because we can’t see how it can work from where we are today.

Let me be clear: God’s five year plan is probably very different from yours and mine. For us to think that we know it down to the nth degree is, well, arrogant. I can tell you that once upon a time my five year plan did not include running a non-profit here in Dallas, Texas. I am thankful every day for God’s plans, because these are the best days of my life and I didn’t see them coming at all. When it came time to make a decision about this role, if I had done my analysis the way I had always done it, I would have walked away from work that I was born to do, my mission in life.

After Jesus makes the bold statement about serving God and money, he goes on to explain God’s economy and how it works. It’s an economics class we should all sit through, because if we really understand the material, it will take a ton of pressure off of us and allow us to listen differently when God speaks to us about what’s next. But be prepared: This class has some really hard tests, and passing them is no piece of cake.

In essence, He says beginning in verse 25, “Don’t worry.” And, then (my translation), “Who do you think you are talking to? I feed the birds of the air and clothe the lilies of the field.”

Wow. That all by itself is an amazing statement, isn’t it? No one else in history has ever been able to make that claim. But then, He goes on: “And, I love you a lot more than they.” What a great thing to hear from Jesus! He loves us more than the other things he created, and they have never wanted for anything.

- - -
Record 1
SmDyCo4O12: calculated PXRD pattern (a wavelength of 1.5418 Å), based on a cell relaxed with GGA+U.

Structure:
Cell: 5.247 5.247 7.490 Å, 90.00 90.00 90.00°
Fractional coordinates of all 18 atoms:
Sm (0.000, 0.000, 0.000)
Dy (0.500, 0.500, 0.500)
Co (0.000, 0.500, 0.250)
Co (0.000, 0.500, 0.750)
Co (0.500, 0.000, 0.250)
Co (0.500, 0.000, 0.750)
O (0.000, 0.500, 0.000)
O (0.000, 0.500, 0.500)
O (0.252, 0.252, 0.253)
O (0.252, 0.252, 0.747)
O (0.252, 0.748, 0.253)
O (0.252, 0.748, 0.747)
O (0.500, 0.000, 0.000)
O (0.500, 0.000, 0.500)
O (0.748, 0.252, 0.253)
O (0.748, 0.252, 0.747)
O (0.748, 0.748, 0.253)
O (0.748, 0.748, 0.747)

Peak list (10 most intense, 10 to 90 degrees two-theta, by intensity)
2θ = 20.67°, I 100.0, (1 0 1); 2θ = 34.01°, I 72.1, (1 1 2); 2θ = 40.28°, I 36.0, (2 1 1); 2θ = 34.18°, I 35.6, (2 0 0); 2θ = 49.11°, I 28.1, (2 2 0); 2θ = 61.09°, I 26.8, (3 1 2); 2θ = 39.99°, I 18.3, (1 0 3); 2θ = 71.60°, I 16.1, (2 2 4); 2θ = 53.60°, I 15.7, (2 1 3); 2θ = 48.62°, I 14.5, (0 0 4)

Record 2
Sr2NiIrO6: calculated PXRD pattern (a wavelength of 1.5418 Å), based on a cell relaxed with GGA+U.

Structure:
Cell: 5.633 5.633 7.958 Å, 90.00 90.00 90.00°
Fractional coordinates of all 20 atoms:
Sr (0.250, 0.750, 0.000)
Sr (0.250, 0.750, 0.500)
Sr (0.750, 0.250, 0.000)
Sr (0.750, 0.250, 0.500)
Ni (0.250, 0.250, 0.248)
Ni (0.750, 0.750, 0.752)
Ir (0.250, 0.250, 0.748)
Ir (0.750, 0.750, 0.252)
O (0.006, 0.006, 0.749)
O (0.006, 0.494, 0.749)
O (0.250, 0.250, 0.505)
O (0.250, 0.250, 0.993)
O (0.494, 0.006, 0.749)
O (0.494, 0.494, 0.749)
O (0.506, 0.506, 0.251)
O (0.506, 0.994, 0.251)
O (0.750, 0.750, 0.007)
O (0.750, 0.750, 0.495)
O (0.994, 0.506, 0.251)
O (0.994, 0.994, 0.251)

Peak list (10 most intense, 10 to 90 degrees two-theta, by intensity)
2θ = 31.78°, I 100.0, (2 0 0); 2θ = 56.62°, I 39.5, (3 1 2); 2θ = 45.56°, I 31.7, (2 2 0); 2θ = 19.31°, I 22.6, (1 0 1); 2θ = 66.41°, I 19.1, (4 0 0); 2θ = 75.51°, I 17.2, (4 2 0); 2θ = 37.46°, I 12.2, (2 1 1); 2θ = 22.33°, I 9.8, (1 1 0); 2θ = 84.24°, I 6.5, (4 0 4); 2θ = 49.92°, I 5.3, (3 0 1)

Record 3
CaBiMoO5: calculated PXRD pattern (a wavelength of 1.5418 Å), based on a cell relaxed with GGA+U.

Structure:
Cell: 5.823 12.058 8.787 Å, 90.00 110.36 90.00°
Fractional coordinates of all 32 atoms:
Ca (0.060, 0.085, 0.183)
Ca (0.060, 0.415, 0.683)
Ca (0.940, 0.585, 0.317)
Ca (0.940, 0.915, 0.817)
Bi (0.468, 0.102, 0.856)
Bi (0.468, 0.398, 0.356)
Bi (0.532, 0.602, 0.644)
Bi (0.532, 0.898, 0.144)
Mo (0.316, 0.639, 0.024)
Mo (0.316, 0.861, 0.524)
Mo (0.684, 0.139, 0.476)
Mo (0.684, 0.361, 0.976)
O (0.208, 0.709, 0.493)
O (0.208, 0.791, 0.993)
O (0.210, 0.567, 0.169)
O (0.210, 0.933, 0.669)
O (0.272, 0.028, 0.012)
O (0.272, 0.472, 0.512)
O (0.286, 0.574, 0.828)
O (0.286, 0.926, 0.328)
O (0.363, 0.191, 0.368)
O (0.363, 0.309, 0.868)
O (0.637, 0.691, 0.132)
O (0.637, 0.809, 0.632)
O (0.714, 0.074, 0.672)
O (0.714, 0.426, 0.172)
O (0.728, 0.528, 0.488)
O (0.728, 0.972, 0.988)
O (0.790, 0.067, 0.331)
- - -

Then, he brings it all the way home. “So, what are you worried about?” A great question for us to pause and think about for a minute. What are we worried about? I can honestly tell you that I spend too much time worrying about everything. For you and me, the worry will only stop when we believe that God’s got this, that He sees us and our situation, that he loves us like a father and will always provide what we need.

If somehow, this economics lesson could get deep down into our souls and our DNA, it would profoundly change us. When we ask God how to finish well and He tells us, we would listen with different ears, because it’s our Master calling with important work for us to do and all that we will ever need to do it.
